Eleanor Feldman Barbera, Ph.D.
Eleanor Feldman Barbera, Ph.D.

In my recent post, “Stuff I won’t do for residents and why your staff shouldn’t either,” I wrote about the need for individual workers to set appropriate boundaries around caregiving in order to retain the ability to give without burning out. In this article, I examine more closely the symptoms of burnout and ways facilities can reduce its likelihood — which is particularly important given the link between burnout and turnover.

Employers find burnout reflected in high levels of absenteeism and tardiness, extended sick leave, and an increase in worker’s compensation claims. Employees might notice symptoms such as stress-related medical conditions (for example, ulcers or headaches), reduced job satisfaction, feelings of depression, anxiety, cynicism, boredom, discouragement and loss of compassion.

One study found that burned out staff were more likely to be accepting of resident abuse (Shinan-Altman and Cohen, 2009). 

What is burnout?
In my research, I came across a number of definitions of burnout. Some definitions, like this early description by psychologist Herbert Freudenberger, focus on the role of the individual:

Burnout is “a state of fatigue or frustration brought about by devotion to a cause, way of life, or relationship that has failed to produce the expected reward.” People most likely to burn out are those who are the most “dedicated and committed to their positions, have poor work boundaries and who have an over excessive need to give.”


Other explanations of burnout focus on the environment, such as this one by Pines and Aronson (1988): Burnout is “a state of physical, emotional, and mental exhaustion caused by long-term involvement in emotionally demanding situations.”

It’s probable that most burnout is due to a combination of a stressful work environment and an individual’s difficulty balancing self-care with their commitment to their jobs.

Techniques to reduce burnout
The good news for management is that many of the causes of burnout can be addressed by the organization, whether they are due to the environment or rooted in the individual.

1. Training workers, including enhancing the initial orientation process and providing ongoing education programs that go beyond mandated courses, can address many factors that contribute to burnout. Studies suggest the following:

  • Orientation classes should provide clear job expectations and address ways to prioritize job tasks in order to reduce time pressures.
  • Managerial staff such as nurses and department heads would benefit from skills training to better help them supervise and manage their teams.
  • Team building efforts can improve relationships with coworkers and reduce professional isolation.
  • Training staff on how to manage aggressive behaviors reduces the stress of working with a verbally and physically aggressive population.

2. Scheduling issues are another area where management can make a significant impact on burnout through:

  • Consistent assignments
  • Higher staffing levels
  • Increased staff control over scheduling, particularly because many nursing assistants are single parents of young children who find it difficult to manage unexpected changes in their schedules.

3.Employee recognition programs can offer ways for organizations to reduce burnout by:

  • Reinforcing job expectations so employees are clear about what they need to do to perform their tasks well.
  • Providing a unified, structured way for supervisors to reward workers.
  • Creating a success experience in a situation where the rewards of good work are often subtle because residents generally decline rather than improve in health.

4. Increasing pay can reduce the financial stress of workers who have very low wages. Low pay is tied to turnover, particularly in areas where employees can get jobs at higher paying facilities or less stressful work (such as retail jobs) for the same salary. In addition, offering retirement plans and health benefits increases the job satisfaction of workers and the likelihood of an employee remaining with the organization.

5. Improving interview techniques so that new employees are a good fit for the job. Some research suggests that including residents in the hiring process can help identify quality candidates.

Individual factors can contribute to burnout as well, but again, facilities can help their employees manage these elements. For example:

6. Employee assistance programs provide limited sessions of psychotherapy plus referrals for additional assistance to address personal stressors such as grief and tension at home that may carry over into work.

# H48PtW6C8N24O24 (PBE+U, optimized geometry)
# - Energy: -6.196 eV per atom
# - E (MP2020): -6.5849 eV per atom
# - ΔE_f: -0.8252 eV/atom
# - Total magnetic moment: 0.00 μB/atom
data_H48PtW6C8N24O24
_symmetry_space_group_name_H-M 'R -3'
_symmetry_Int_Tables_number 148
_symmetry_space_group_name_Hall '-R 3'
_cell_length_a 13.1179
_cell_length_b 13.1179
_cell_length_c 22.3140
_cell_angle_alpha 90.00
_cell_angle_beta 90.00
_cell_angle_gamma 120.00
loop_
_atom_site_label
_atom_site_type_symbol
_atom_site_fract_x
_atom_site_fract_y
_atom_site_fract_z
_atom_site_occupancy
H1 H 0.0128 0.8460 0.1245 1
H2 H 0.0136 0.3107 0.1961 1
H3 H 0.0303 0.8615 0.5884 1
H4 H 0.0394 0.8343 0.2819 1
H5 H 0.0457 0.2707 0.1254 1
H6 H 0.0563 0.8804 0.4144 1
H7 H 0.0578 0.4707 0.9491 1
H8 H 0.0594 0.2074 0.8057 1
Pt1 Pt 0.0000 0.0000 0.0000 1
W1 W 0.0474 0.5620 0.6655 1
C1 C 0.0000 0.0000 0.4150 1
C2 C 0.1018 0.5480 0.8668 1
N1 N 0.0169 0.8349 0.1701 1
N2 N 0.0318 0.1142 0.4155 1
N3 N 0.0518 0.2732 0.1716 1
N4 N 0.0916 0.5484 0.9268 1
O1 O 0.0217 0.1465 0.9562 1
O2 O 0.0455 0.2871 0.6125 1
O3 O 0.0469 0.2775 0.0444 1
O4 O 0.0526 0.5225 0.3931 1

# VH15C4S2N2O10 (PBE+U, optimized geometry)
# - Energy: -5.801 eV per atom
# - E (MP2020): -6.0532 eV per atom
# - ΔE_f: -1.0146 eV/atom
# - Total magnetic moment: 0.06 μB/atom
data_VH15C4S2N2O10
_symmetry_space_group_name_H-M 'P 1 21/c 1'
_symmetry_Int_Tables_number 14
_symmetry_space_group_name_Hall '-P 2ybc'
_cell_length_a 9.5423
_cell_length_b 18.6919
_cell_length_c 7.2554
_cell_angle_alpha 90.00
_cell_angle_beta 99.62
_cell_angle_gamma 90.00
loop_
_atom_site_label
_atom_site_type_symbol
_atom_site_fract_x
_atom_site_fract_y
_atom_site_fract_z
_atom_site_occupancy
V1 V 0.1990 0.2479 0.0919 1
H1 H 0.1032 0.5666 0.6292 1
H2 H 0.1175 0.5947 0.8661 1
H3 H 0.1265 0.6990 0.6522 1
H4 H 0.1706 0.0020 0.7509 1
H5 H 0.1883 0.0629 0.6136 1
H6 H 0.2052 0.1517 0.8361 1
H7 H 0.2406 0.6475 0.4167 1
H8 H 0.2643 0.0072 0.3245 1
H9 H 0.2871 0.6901 0.8193 1
H10 H 0.3204 0.5115 0.5253 1
H11 H 0.3490 0.7135 0.5309 1
H12 H 0.3679 0.5618 0.9190 1
H13 H 0.4797 0.5075 0.6941 1
H14 H 0.4829 0.6105 0.4667 1
H15 H 0.4958 0.1380 0.7969 1
C1 C 0.1736 0.5914 0.7468 1
C2 C 0.2201 0.6656 0.6982 1
C3 C 0.3851 0.5394 0.6425 1
C4 C 0.4298 0.6133 0.5893 1
S1 S 0.0175 0.1338 0.3074 1
S2 S 0.4386 0.1639 0.3924 1
N1 N 0.3002 0.5437 0.7980 1
N2 N 0.3055 0.6625 0.5432 1
O1 O 0.0380 0.1818 0.4769 1
O2 O 0.0425 0.1766 0.1399 1
O3 O 0.1143 0.0721 0.3417 1
O4 O 0.1331 0.6097 0.2287 1
O5 O 0.2004 0.2043 0.8402 1
O6 O 0.2145 0.0492 0.7457 1
O7 O 0.3460 0.1724 0.2046 1
O8 O 0.3542 0.1819 0.5448 1
O9 O 0.4365 0.7109 0.0948 1
O10 O 0.4826 0.0882 0.4151 1

# SnH18W3C4N6O12 (PBE+U, optimized geometry)
# - Energy: -6.039 eV per atom
# - E (MP2020): -6.5292 eV per atom
# - ΔE_f: -0.8414 eV/atom
# - Total magnetic moment: 0.05 μB/atom
data_SnH18W3C4N6O12
_symmetry_space_group_name_H-M 'C 1 2/c 1'
_symmetry_Int_Tables_number 15
_symmetry_space_group_name_Hall '-C 2yc'
# Here the entry continues

  • Exercise programs offered through the job can encourage employees to make use of this essential stress reduction tool.
  • Health screenings encourage workers to address physical health problems that might impact their ability to adequately perform their duties.
  • Quit smoking programs offer workers a way to reduce expenses and improve health.
  • Career advancement opportunities such as providing a senior nursing assistant track allow workers the satisfaction of remaining with the organization while increasing their skills and salary.

The types of people Freudenberger identified as most likely to burn out — dedicated, caring workers who want to help others — are the kinds of people most likely to be drawn to long-term care. As employers, the challenge is to prevent them from “over-helping” and burning out so that they can have long, healthy careers within your organization.

Records of crystals that have nothing to do with the article
Here is a relaxed structure of Ba2LiZn2S2O2 from Materials Project. Energies are from GGA-PBE.

POSCAR file:
```
Ba2LiZn2S2O2
1.0
4.0411 0.0000 0.0000
-0.0065 6.5119 0.0000
-2.0191 -1.0038 6.8517
Ba Li Zn S O
2 1 2 2 2
Direct
0.0000 0.0000 0.0000
0.2891 0.3877 0.5773
0.1474 0.6999 0.2927
0.5586 0.4311 0.1162
0.7292 0.9717 0.4573
0.3186 0.9143 0.6358
0.9691 0.4756 0.9372
0.6268 0.1805 0.2549
0.6439 0.7001 0.2850
```

Summary:
The energy above the most stable polymorph in this dataset comes out at 0.79 eV per formula unit. The space-group type is P1, No. 1. For the energy of formation from the pure elements, the calculation gives -1692 meV per atom.

=====

Entry 1:
Na3Mg4Ta8P15S3O72 after structural relaxation, computed with PBE-GGA.

Unit cell a=8.724 b=8.729 c=22.658 alpha=90.05 beta=90.00 gamma=119.88
Space group P1 (No. 1)
Symmetry-distinct sites (fractional):
Na1 0.000 0.000 0.000
Na2 0.002 0.999 0.498
Na3 0.339 0.662 0.346
Mg1 0.002 0.000 0.359
Mg2 0.002 0.000 0.856
Mg3 0.340 0.662 0.484
Mg4 0.672 0.326 0.029
Ta1 0.000 0.995 0.151
Ta2 0.002 0.996 0.651
Ta3 0.330 0.657 0.982
Ta4 0.334 0.659 0.693
Ta5 0.336 0.661 0.192
Ta6 0.661 0.322 0.315
Ta7 0.662 0.321 0.528
Ta8 0.676 0.330 0.814
P1 0.002 0.282 0.257
P2 0.005 0.713 0.757
P3 0.044 0.660 0.088
P4 0.050 0.377 0.586
P5 0.283 0.992 0.257
P6 0.288 0.281 0.757
P7 0.331 0.943 0.586
P8 0.338 0.373 0.087
P9 0.374 0.328 0.422
P10 0.621 0.951 0.087
P11 0.622 0.663 0.586
P12 0.668 0.034 0.422
P13 0.714 0.991 0.757
P14 0.717 0.710 0.257
P15 0.951 0.319 0.924
S1 0.379 0.043 0.923
S2 0.673 0.618 0.923
S3 0.957 0.617 0.422
O1 0.021 0.187 0.599
O2 0.037 0.821 0.811
O3 0.037 0.835 0.096
O4 0.042 0.209 0.310
O5 0.128 0.627 0.426
O6 0.135 0.488 0.643
O7 0.138 0.496 0.931
O8 0.142 0.642 0.142
O9 0.161 0.681 0.743
O10 0.162 0.450 0.532
O11 0.163 0.191 0.096
O12 0.163 0.471 0.244
O13 0.171 0.698 0.033
O14 0.172 0.975 0.599
O15 0.173 0.955 0.311
O16 0.177 0.206 0.811
O17 0.200 0.013 0.915
O18 0.200 0.022 0.200
O19 0.202 0.156 0.418
O20 0.204 0.166 0.701
O21 0.294 0.834 0.532
O22 0.300 0.462 0.033
O23 0.315 0.833 0.244
O24 0.316 0.468 0.742
O25 0.355 0.487 0.142
O26 0.361 0.861 0.643
O27 0.367 0.497 0.425
O28 0.368 0.863 0.930
O29 0.460 0.150 0.975
O30 0.472 0.157 0.263
O31 0.477 0.305 0.766
O32 0.479 0.310 0.477
O33 0.491 0.124 0.868
O34 0.496 0.132 0.580
O35 0.496 0.354 0.079
O36 0.496 0.862 0.425
O37 0.498 0.350 0.366
O38 0.505 0.632 0.929
O39 0.508 0.634 0.643
O40 0.508 0.853 0.142
O41 0.527 0.681 0.244
O42 0.527 0.835 0.742
O43 0.534 0.825 0.033
O44 0.550 0.703 0.533
O45 0.638 0.504 0.868
O46 0.639 0.127 0.081
O47 0.647 0.499 0.579
O48 0.650 0.139 0.367
O49 0.690 0.157 0.765
O50 0.690 0.158 0.477
O51 0.693 0.533 0.975
O52 0.694 0.523 0.264
O53 0.788 0.956 0.811
O54 0.791 0.823 0.311
O55 0.805 0.960 0.096
O56 0.811 0.824 0.600
O57 0.824 0.795 0.915
O58 0.830 0.796 0.200
O59 0.831 0.026 0.701
O60 0.836 0.027 0.418
O61 0.838 0.524 0.764
O62 0.839 0.306 0.264
O63 0.841 0.301 0.977
O64 0.844 0.527 0.475

Some helpful selected references:

Eleanor Feldman Barbera, PhD, is a 2014 Award of Excellence winner in the Blog Content category of the APEX Awards for Publication Excellence program. She also is the author of The Savvy Resident’s Guide, and an accomplished speaker and consultant with nearly 20 years of experience as a psychologist in long-term care. This blog complements her award-winning website, MyBetterNursingHome.com, which has more on how to create long-term care where EVERYBODY thrives.